And demand is rising…
It is possible to get a fairly accurate View on the size of demand for hospital services. NHS England regularly collect figures on the level of hospital activity. These include details of the number of patients attending accident and emergency departments. It is however more difficult to estimate demand for GP services as statistics are not collected centrally. NHS England have extrapolated fun ride is precious at a constant rate of increase from the last Data collected back in 2008. This provides the basis of the estimates on this slide
But funding is not keeping up…
Government spending on the NHS from 2010 to 2015 rose at just 0.9% a year in real terms under the coalition government according to analysts at The Health Foundation and The Kings Fund. This is a lot less than the average real terms increase of 3.7% per year since the NHS was created in 1948 and it is way below the average increase of 8.6% per year between 2001/02 and 2004/05.
32
Properties=species:S:1:pos:R:3 method="wB97M-V/def2-TZVPD" spin_multiplicity=1 lumo_ev="-9.530 / -9.510" e_above_lowest_kj_mol=8.8 homo_energy_ev="-14.938 / -14.972" total_energy_ev=-63539.963 gap_ev="5.41 / 5.46" charge=+2
Os -0.328 -0.213 -0.233
C 2.404 -0.648 -1.921
O 1.636 0.145 -0.973
C 1.986 1.556 -0.924
C 0.745 2.378 -1.084
O -0.306 1.903 -0.193
C -0.395 2.487 1.133
C 0.454 1.665 2.077
O 0.167 0.289 1.760
C 0.932 -0.665 2.542
H 3.460 -0.474 -1.730
H 2.162 -1.692 -1.740
H 2.121 -0.356 -2.932
H 2.497 1.726 0.025
H 2.676 1.779 -1.739
H 0.932 3.433 -0.889
H 0.335 2.265 -2.087
H -0.113 3.537 1.084
H -1.446 2.418 1.412
H 1.528 1.842 1.961
H 0.188 1.845 3.119
H 0.836 -0.395 3.591
H 0.502 -1.645 2.359
H 1.976 -0.631 2.229
O -5.250 -4.691 -1.436
C -4.384 -3.962 -1.141
S -2.659 -4.165 -1.741
C -2.082 -2.739 -1.059
C -3.019 -1.906 -0.328
S -2.466 -0.450 0.296
S -4.642 -2.399 -0.239
S -0.446 -2.237 -1.198
The government also adds pressure…
During the previous parliament (2010-15) the NHS had to deliver £20 million in savings as part of what was known as the ‘Nicholson Challenge’. This was largely achieved using a combination of pay restraint, cuts to central budgets, cuts to the payment tariff, and the abolition of some regional and local tiers of management.
From 2015/16 to 2020/21 the government is demanding the NHS make £22 billion in efficiency savings. According to Kings Fund analysts, based on the organisation’s regular survey of NHS financial directors, the NHS is highly unlikely to achieve this target.
Adds costs…
PFI – the total cost to the NHS of the hospitals built through PFI (public finance initiative) is £70.5 billion, according to research from the NHS Support Federation. In 2015 the bill for PFI hospitals was £2 billion;
NHS reorganisation – It has been estimated that the reorganisation of the NHS based on the Health and Social Care Bill 2012 has cost the NHS £3 billion;
NHS Marketisation – The recurrent, annual costs of the market can be estimated (conservatively) at £4.5 billion, according to the Centre for Health and Public Interest.
And makes cuts…
Mental health
Between 2010/11 and 2013/14 there was a 7% reduction in acute psychiatric care beds (The Commission on Acute Adult Psychiatric Care 2015). In addition, funding for mental health services provided by trusts has fallen by more than 8% in real terms from 2010 to 2015, according to research by Community Care and BBC News.
Adult social care
According to a report by the Association of Adult Social Services published in June 2015, around 420,000 fewer people received social care support over the past five years; councils have cut £4.6 billion from adult social care budgets since 2009/10, equivalent to almost a third of net real terms spend.
Public health
In May 2015 £200 million was cut from the budget for public health, leading to a 7% reduction in public health budget for every council. Then in November 2015 the Government announced that public health spending will be cut by 4% a year in real terms, as part of the spending review. Total spending on public health will fall from £3.4 billion in 2015/2016 to £3.1 billion in 2020/2021.
Now there is a financial crisis…
w.
# C3H2IN2

A structure of composition C3H2IN2 (ωB97M-V/def2-TZVPD, the Open Molecules 2025 dataset).

Structure (XYZ):
```
8
Properties=species:S:1:pos:R:3
I -2.4477 -0.8382 0.0338
N -0.0569 1.9483 0.7481
N 1.1845 0.5387 -0.8575
C 0.5847 1.3261 0.0331
C -0.4478 -0.3201 0.4849
C 0.5319 -0.5657 -0.6657
H -0.1458 -0.6296 1.5244
H 0.7971 -1.4595 -1.3010
```

Its total charge is +1. Its spin multiplicity is 1. Its LUMO energy is -0.288 Ha. Its HOMO energy is -15.617 eV.

---

x.
# C3H2IN2

The ion C3H2IN2 with charge +1 (ωB97M-V/def2-TZVPD, the Open Molecules 2025 dataset).

Structure (XYZ):
```
8
Properties=species:S:1:pos:R:3
I 0.1298 -1.7161 -1.4942
N -2.2279 1.2262 -0.1212
N -0.8517 -0.6368 1.0878
C -0.0166 -1.4572 0.5154
C -0.9710 1.0164 -0.7260
C -1.3354 0.3593 0.4768
H 0.6244 -2.1724 1.0036
H -0.5939 1.4538 -1.6938
```

As for the SMILES: I/C=N\C1=[N+]=C1. Its total charge is +1. Its spin multiplicity is 1. Its LUMO energy is -0.242 Ha. Its HOMO energy is -15.246 eV.

---

We find x to be the most stable, with the next structure 0.0109 hartree higher.

* * * * *

#1
{"formula": "H2O4P2", "method": "ωB97M-V with the def2-TZVPD basis set", "species": ["O", "O", "H", "O", "P", "P", "H", "O"], "xyz": [[1.372, -1.561, 0.504], [-2.185, 0.603, -0.684], [0.896, -1.060, -1.603], [2.065, 0.676, -0.554], [1.047, -0.419, -0.353], [-0.975, 0.497, 0.376], [-1.561, -0.523, 1.244], [-0.659, 1.787, 1.068]], "smiles": "O=[P@H]([O-])[P@H](=O)[O-]", "charge": -2}

---

#2
{"formula": "H2O4P2", "method": "ωB97M-V with the def2-TZVPD basis set", "species": ["P", "O", "H", "O", "O", "P", "O", "H"], "xyz": [[0.849, -0.509, 0.271], [0.678, -1.868, -0.324], [0.389, -0.696, 1.474], [-1.061, 2.075, -0.003], [-2.180, -0.156, 0.398], [-1.067, 0.630, -0.245], [3.353, 0.425, -0.049], [-0.960, 0.099, -1.522]], "charge": -2}

---

Short version: #2 is the least stable of them.

---

#1
{"formula": "C6H12S", "method": "ωB97M-V with the def2-TZVPD basis set", "species": ["H", "H", "H", "C", "H", "H", "H", "H", "C", "C", "S", "H", "H", "H", "C", "C", "H", "H", "C"], "xyz": [[-2.384, 0.741, 1.870], [2.471, 1.719, 0.777], [-3.256, -0.899, 1.742], [2.420, 0.985, -0.020], [3.503, 0.781, -0.171], [1.923, 1.335, -0.942], [-0.488, -1.448, 0.648], [2.045, -0.580, 1.257], [-3.680, 0.940, -0.869], [1.685, -0.348, 0.285], [-0.155, -0.145, 0.178], [-4.511, 1.350, -1.397], [3.199, -1.547, -0.238], [1.700, -2.249, -0.751], [-3.270, 0.578, 0.259], [2.222, -1.355, -0.675], [2.444, -0.973, -1.734], [-2.848, 1.066, -1.593], [-3.019, 0.049, 1.375]], "smiles": "CC(C)S.C=C=C", "charge": 0}

---

#2
Quarter three 2015/16 figures for NHS trusts show that 179 or 75% of NHS trusts are in deficit. These trusts, according to The Health Foundation, reported a combined deficit of almost £2.3 billion and this is projected to reach £2.8 billion by the end of the financial year.
Inserted here: molecular data:
- - -
1.
A structure of composition C34H57N3O2RuSSi in a non-equilibrium geometry. Source: the Open Molecules 2025 dataset; level of theory: ωB97M-V with the def2-TZVPD basis set.

The calculation puts the HOMO energy (spin up / spin down) at -9.24 / -10.59 eV. The multiplicity is 6. For the maximum force, the calculation gives 0.0532 hartree/bohr. The value obtained for the HOMO-LUMO gap (spin up / spin down) is 0.26345 / 0.24613 Eh. As for the net charge: +1. The value obtained for the total energy is -2426.66808 Ha. The calculation puts the energy above the lowest of the compared OMol25 structures with the same formula, charge and spin at 0.00 kcal per mole.

```
99
Properties=species:S:1:pos:R:3:forces:R:3
O -0.7057 -0.6732 -2.8359 1.30 -0.04 1.27
O 2.1617 -1.1600 -3.3991 -0.63 0.28 0.33
C -1.2553 -2.0451 -2.9981 0.25 0.69 -0.31
C -2.7500 -1.8711 -3.0330 -0.09 -0.24 -0.02
H -0.8877 -2.6328 -2.1621 0.04 0.10 0.09
H -0.7803 -2.4113 -3.9192 -0.40 -0.08 0.38
H -3.1066 -1.3733 -2.1175 0.11 -0.22 -0.28
H -3.2330 -2.8426 -3.1322 -0.07 -0.01 0.06
H -3.0300 -1.2738 -3.9025 -0.12 -0.02 0.08
C -0.6772 0.2352 -4.0591 -1.07 -0.17 0.63
C -0.3941 -0.4632 -5.3630 0.28 -0.03 -0.15
H 0.0178 1.0333 -3.8243 0.13 -0.12 0.14
H -1.7069 0.6097 -4.0418 0.38 0.27 -0.13
H 0.6185 -0.8889 -5.3977 -0.39 0.10 0.01
H -0.4876 0.3160 -6.1365 0.19 -0.14 0.25
H -1.1484 -1.2090 -5.6357 0.16 0.08 0.20
C 3.0320 -0.0273 -3.3514 -0.41 -0.49 0.15
C 2.7048 -2.4711 -3.3568 -0.11 0.47 -0.02
C 3.1671 0.5785 -4.7236 0.26 0.16 -0.23
H 4.0035 -0.3140 -2.9287 -0.09 0.09 0.01
H 2.5295 0.6805 -2.6699 0.38 -0.09 -0.09
H 3.6323 -0.1259 -5.4230 -0.12 0.21 0.12
H 3.7834 1.4760 -4.6681 0.04 0.04 -0.10
H 2.1879 0.8697 -5.1131 0.10 -0.05 0.00
C 3.3099 -2.8472 -4.6836 0.22 -0.27 -0.17
H 1.8451 -3.1136 -3.1105 0.36 0.06 -0.01
H 3.4425 -2.5229 -2.5490 -0.02 -0.19 0.05
H 2.5961 -2.6782 -5.4955 0.09 0.02 0.08
H 3.5683 -3.9042 -4.6806 0.10 -0.10 -0.06
H 4.2246 -2.2792 -4.8822 -0.16 -0.08 -0.01
H -0.2574 -0.4626 -1.8776 -0.82 -0.45 -2.45
N -1.8600 0.1139 2.1327 -0.54 -0.50 1.21
C -1.5073 0.0593 3.4202 -0.96 -0.41 -1.18
C -0.2522 0.4739 3.8785 0.57 0.24 0.74
C 0.6593 1.3169 3.2519 -0.13 0.59 -0.40
C -2.4789 -0.5385 4.4039 0.38 -0.03 0.58
H -2.6561 -1.6055 4.2000 -0.07 0.35 -0.09
H -3.4356 0.0007 4.4108 0.26 -0.27 -0.12
H -2.0346 -0.4602 5.4008 -0.23 -0.07 -0.09
C 1.9463 1.6855 3.9296 0.01 -0.13 0.78
H 1.9914 2.7603 4.1564 0.05 -0.28 -0.23
H 2.8185 1.4057 3.3178 -0.35 0.18 0.09
H 2.0008 1.1451 4.8825 0.16 0.15 -0.21
N 0.3860 1.8745 2.0597 0.61 0.64 1.22
C -3.1455 -0.3943 1.7240 -0.45 -0.16 0.42
C -3.2575 -1.7326 1.2851 -0.04 0.69 0.04
C -2.1380 -2.7157 1.3745 0.44 -0.46 -0.01
C -4.4812 -2.1877 0.8071 -0.21 0.08 0.08
H -4.5470 -3.2184 0.4371 -0.10 0.42 0.20
C -5.5933 -1.3576 0.8462 -0.18 0.04 -0.33
H -6.5466 -1.7230 0.4744 0.10 0.07 0.06
C -5.5010 -0.0663 1.3607 -0.22 -0.26 0.05
H -6.3841 0.5796 1.4198 0.29 -0.35 -0.01
C -4.2970 0.4173 1.8527 0.52 -0.36 -0.32
C -4.2537 1.7631 2.4954 -0.34 0.58 0.09
- - -
End of the molecular data:
Patients experience worse care…
Government figures show that the number of people having to wait at least a week to see their GP rose by 500,000 in 2015. About 14.2 million patients had to wait a week or did not get an appointment at all the last time they tried to see their doctor in 2015, compared with 13.8 million the year before.
The latest performance data for A&E from January and February 2016 were the worst since the records began, with only 83% of patients who attended A&E being seen within four hours in January and 81.6% in February, way below 95% target level.
According to the NHS Staff Survey 2015, 37% of staff report feeling unwell due to work related stress in the last year. While one in four (25%) reported experiencing musculoskeletal problems due to their work.
Staff know it to…
The NHS Staff Survey 2015 found that almost 50% of staff disagreed or strongly disagreed with the statement that “there are enough staff at my organisation for me to do my job properly”, and only 43% felt able to manage all the conflicting demands on their time.